(Listing)
........
DFT (ωB97M-V/def2-TZVPD) results for the molecule C5H14N2 at a distorted geometry.

Last column: Mulliken charge in e.
Geometry (Å):
C1 -1.53 -0.20 1.65  -1.224
C2 -1.16 -0.86 0.28  0.350
N1 -2.31 -1.14 -0.62  -0.497
C3 -0.30 0.27 -0.63  -1.136
N2 1.05 0.57 -0.07  0.140
C4 2.05 -0.47 0.07  -0.992
C5 1.65 1.64 -0.79  -1.033
H1 -1.20 0.90 1.73  0.284
H2 -1.02 -0.70 2.56  0.219
H3 -2.62 -0.12 1.87  0.354
H4 -0.51 -1.85 0.17  0.364
H5 -2.82 -2.00 -0.53  0.178
H6 -2.93 -0.38 -0.87  0.174
H7 -0.95 1.13 -0.70  0.499
H8 -0.14 -0.04 -1.69  0.389
H9 1.49 -1.34 0.48  0.304
H10 2.54 -1.01 -0.80  0.313
H11 2.84 -0.17 0.88  0.319
H12 1.19 2.60 -0.76  0.295
H13 1.96 1.51 -1.84  0.380
H14 2.71 1.64 -0.39  0.318

Summary:
energy = -308.32882 a.u.
energy above the lowest of the compared OMol25 structures with the same formula, charge and spin = 59.1 kcal/mol
Kohn-Sham gap = 9.5 eV
lowest unoccupied orbital energy = 1.087 eV
SMILES = C[C@@H](N)CN(C)C
HOMO level = -8.41 eV


i | Entry from the OMol25 dataset: the molecule C4H6N2O (ωB97M-V with the def2-TZVPD basis set).

The lowest unoccupied orbital energy comes out at 0.008 Eh. Its net charge is 0. The calculation puts the gap between HOMO and LUMO at 8.04 eV. Its molecular weight is 98.105 g/mol.

CARTESIAN COORDINATES (ANGSTROEM)
1 C 1.974 -0.892 -0.293
2 C 0.570 -0.296 -0.203
3 C 0.552 1.039 0.300
4 N -0.840 1.827 0.145
5 C -1.757 1.062 0.141
6 N -2.729 0.183 0.250
7 O -0.416 -1.016 -0.504
8 H 2.149 -1.260 -1.310
9 H 2.769 -0.184 -0.031
10 H 2.043 -1.740 0.398
11 H 1.286 1.778 0.008
12 H -2.364 -0.743 -0.023
13 H -3.238 0.241 1.121

=====

ii | Entry from the OMol25 dataset: the molecule C4H6N2O (ωB97M-V with the def2-TZVPD basis set).

The lowest unoccupied orbital energy comes out at 0.025 Eh. Its net charge is 0. The calculation puts the gap between HOMO and LUMO at 10.01 eV. Its SMILES is N[C@@H]1C=CC(O)=N1. Its molecular weight is 98.105 g/mol.

CARTESIAN COORDINATES (ANGSTROEM)
1 N 1.447 -1.637 0.400
2 C 0.886 -0.312 0.314
3 C -0.381 -0.113 1.115
4 C -1.216 0.621 0.375
5 C -0.526 0.808 -0.925
6 O -1.014 1.565 -1.926
7 N 0.603 0.217 -1.024
8 H 0.842 -2.302 -0.073
9 H 2.331 -1.648 -0.099
10 H -0.532 -0.492 2.120
11 H -2.198 0.999 0.645
12 H -1.875 1.922 -1.675
13 H 1.635 0.372 0.754

=====

iii | Entry from the OMol25 dataset: the molecule C4H6N2O (ωB97M-V with the def2-TZVPD basis set).

The lowest unoccupied orbital energy comes out at 0.018 Eh. Its net charge is 0. The calculation puts the gap between HOMO and LUMO at 11.31 eV. Its SMILES is [H]/N=C(\C#N)OCC. Its molecular weight is 98.105 g/mol.

CARTESIAN COORDINATES (ANGSTROEM)
1 C -0.102 -0.748 -1.490
2 C -0.196 0.731 -1.126
3 O -0.090 1.093 0.270
4 C -0.094 0.234 1.282
5 N -0.819 -0.797 1.400
6 C 0.907 0.675 2.258
7 N 1.746 1.009 2.981
8 H -0.398 -1.396 -0.666
9 H -0.783 -0.956 -2.319
10 H 0.910 -1.017 -1.800
11 H -1.121 1.184 -1.487
12 H 0.639 1.283 -1.563
13 H -0.600 -1.294 2.260

=====

iv | Entry from the OMol25 dataset: the molecule C4H6N2O (ωB97M-V with the def2-TZVPD basis set).

The lowest unoccupied orbital energy comes out at 0.022 Eh. Its net charge is 0. The calculation puts the gap between HOMO and LUMO at 7.97 eV. Its molecular weight is 98.105 g/mol.

CARTESIAN COORDINATES (ANGSTROEM)
1 O 0.503 2.146 0.815
2 C 0.329 1.018 0.165
3 N 1.182 -0.002 0.264
4 C 0.571 -1.154 -0.419
5 C -0.826 -0.601 -0.753
6 C -1.734 -0.115 0.316
7 N -0.737 0.864 -0.606
8 H 1.834 -0.067 1.031
9 H 0.543 -2.025 0.244
10 H 1.145 -1.400 -1.315
11 H -1.252 -0.916 -1.703
12 H -0.389 2.539 0.699
13 H -1.169 -0.288 1.262

=====

Which of them is most stable, and which least? Most stable: ii; least stable: iv.

=====

i | Entry from the OMol25 dataset: a structure of composition C4H6N2O (ωB97M-V with the def2-TZVPD basis set).

The lowest unoccupied orbital energy comes out at 0.025 Eh. Its net charge is 0. The calculation puts the gap between HOMO and LUMO at 9.24 eV. Its molecular weight is 98.105 g/mol.

CARTESIAN COORDINATES (ANGSTROEM)
........

(Request)
Quote the lines further above up to the one that holds "-1.315", that line included.

(Done)
DFT (ωB97M-V/def2-TZVPD) results for the molecule C5H14N2 at a distorted geometry.

Last column: Mulliken charge in e.
Geometry (Å):
C1 -1.53 -0.20 1.65  -1.224
C2 -1.16 -0.86 0.28  0.350
N1 -2.31 -1.14 -0.62  -0.497
C3 -0.30 0.27 -0.63  -1.136
N2 1.05 0.57 -0.07  0.140
C4 2.05 -0.47 0.07  -0.992
C5 1.65 1.64 -0.79  -1.033
H1 -1.20 0.90 1.73  0.284
H2 -1.02 -0.70 2.56  0.219
H3 -2.62 -0.12 1.87  0.354
H4 -0.51 -1.85 0.17  0.364
H5 -2.82 -2.00 -0.53  0.178
H6 -2.93 -0.38 -0.87  0.174
H7 -0.95 1.13 -0.70  0.499
H8 -0.14 -0.04 -1.69  0.389
H9 1.49 -1.34 0.48  0.304
H10 2.54 -1.01 -0.80  0.313
H11 2.84 -0.17 0.88  0.319
H12 1.19 2.60 -0.76  0.295
H13 1.96 1.51 -1.84  0.380
H14 2.71 1.64 -0.39  0.318

Summary:
energy = -308.32882 a.u.
energy above the lowest of the compared OMol25 structures with the same formula, charge and spin = 59.1 kcal/mol
Kohn-Sham gap = 9.5 eV
lowest unoccupied orbital energy = 1.087 eV
SMILES = C[C@@H](N)CN(C)C
HOMO level = -8.41 eV


i | Entry from the OMol25 dataset: the molecule C4H6N2O (ωB97M-V with the def2-TZVPD basis set).

The lowest unoccupied orbital energy comes out at 0.008 Eh. Its net charge is 0. The calculation puts the gap between HOMO and LUMO at 8.04 eV. Its molecular weight is 98.105 g/mol.

CARTESIAN COORDINATES (ANGSTROEM)
1 C 1.974 -0.892 -0.293
2 C 0.570 -0.296 -0.203
3 C 0.552 1.039 0.300
4 N -0.840 1.827 0.145
5 C -1.757 1.062 0.141
6 N -2.729 0.183 0.250
7 O -0.416 -1.016 -0.504
8 H 2.149 -1.260 -1.310
9 H 2.769 -0.184 -0.031
10 H 2.043 -1.740 0.398
11 H 1.286 1.778 0.008
12 H -2.364 -0.743 -0.023
13 H -3.238 0.241 1.121

=====

ii | Entry from the OMol25 dataset: the molecule C4H6N2O (ωB97M-V with the def2-TZVPD basis set).

The lowest unoccupied orbital energy comes out at 0.025 Eh. Its net charge is 0. The calculation puts the gap between HOMO and LUMO at 10.01 eV. Its SMILES is N[C@@H]1C=CC(O)=N1. Its molecular weight is 98.105 g/mol.

CARTESIAN COORDINATES (ANGSTROEM)
1 N 1.447 -1.637 0.400
2 C 0.886 -0.312 0.314
3 C -0.381 -0.113 1.115
4 C -1.216 0.621 0.375
5 C -0.526 0.808 -0.925
6 O -1.014 1.565 -1.926
7 N 0.603 0.217 -1.024
8 H 0.842 -2.302 -0.073
9 H 2.331 -1.648 -0.099
10 H -0.532 -0.492 2.120
11 H -2.198 0.999 0.645
12 H -1.875 1.922 -1.675
13 H 1.635 0.372 0.754

=====

iii | Entry from the OMol25 dataset: the molecule C4H6N2O (ωB97M-V with the def2-TZVPD basis set).

The lowest unoccupied orbital energy comes out at 0.018 Eh. Its net charge is 0. The calculation puts the gap between HOMO and LUMO at 11.31 eV. Its SMILES is [H]/N=C(\C#N)OCC. Its molecular weight is 98.105 g/mol.

CARTESIAN COORDINATES (ANGSTROEM)
1 C -0.102 -0.748 -1.490
2 C -0.196 0.731 -1.126
3 O -0.090 1.093 0.270
4 C -0.094 0.234 1.282
5 N -0.819 -0.797 1.400
6 C 0.907 0.675 2.258
7 N 1.746 1.009 2.981
8 H -0.398 -1.396 -0.666
9 H -0.783 -0.956 -2.319
10 H 0.910 -1.017 -1.800
11 H -1.121 1.184 -1.487
12 H 0.639 1.283 -1.563
13 H -0.600 -1.294 2.260

=====

iv | Entry from the OMol25 dataset: the molecule C4H6N2O (ωB97M-V with the def2-TZVPD basis set).

The lowest unoccupied orbital energy comes out at 0.022 Eh. Its net charge is 0. The calculation puts the gap between HOMO and LUMO at 7.97 eV. Its molecular weight is 98.105 g/mol.

CARTESIAN COORDINATES (ANGSTROEM)
1 O 0.503 2.146 0.815
2 C 0.329 1.018 0.165
3 N 1.182 -0.002 0.264
4 C 0.571 -1.154 -0.419
5 C -0.826 -0.601 -0.753
6 C -1.734 -0.115 0.316
7 N -0.737 0.864 -0.606
8 H 1.834 -0.067 1.031
9 H 0.543 -2.025 0.244
10 H 1.145 -1.400 -1.315